Assignment =
Your job: type out everything further down without additions.

File =
+++
Ni3P2: computed X-ray diffraction stick pattern (Cu Kα (λ = 1.5418 Å)), based on a PBE-relaxed structure.
Lines closer than 0.1° are merged.

Crystal structure
abc: 5.9147 5.9147 12.2553
angles: 90.00 90.00 120.00
Space group R-3c (No. 167, hexagonal axes)
Asymmetric unit:
Ni: 0.0000 0.2569 0.2500 (multiplicity 18)
P: 0.0000 0.0000 0.1095 (multiplicity 12)

Top 10 peaks for 2θ = 10–90°, sorted by position:
- 2θ = 22.63°, d = 3.930 Å, I = 23, (0 1 2)
- 2θ = 37.55°, d = 2.396 Å, I = 100, (1 1 3)
- 2θ = 38.08°, d = 2.363 Å, I = 15, (2 0 2)
- 2θ = 44.35°, d = 2.043 Å, I = 29, (0 0 6)
- 2θ = 46.20°, d = 1.965 Å, I = 21, (0 2 4)
- 2θ = 47.55°, d = 1.912 Å, I = 41, (2 1 1)
- 2θ = 49.37°, d = 1.846 Å, I = 12, (1 2 2)
- 2θ = 53.68°, d = 1.707 Å, I = 18, (3 0 0)
- 2θ = 56.20°, d = 1.637 Å, I = 21, (2 1 4)
- 2θ = 60.99°, d = 1.519 Å, I = 18, (1 2 5)

----------

Diffraction record for MgV4H8O14. The XRD peak list is computed, not measured: it uses a GGA+U-relaxed structure and Cu Kα (weighted mean of Kα1 and Kα2).
Neutral-atom scattering factors, no anomalous dispersion.

Structural model:
Cell lengths 6.416, 6.636, 8.062 Å; angles 87.41, 67.63, 78.62 degrees
Positions (direct):
Mg: 0.000 0.000 0.000
V: 0.223 0.332 0.402
V: 0.280 0.816 0.528
V: 0.720 0.184 0.472
V: 0.777 0.668 0.598
H: 0.203 0.333 0.007
H: 0.246 0.288 0.803
H: 0.295 0.918 0.171
H: 0.412 0.778 0.989
H: 0.588 0.222 0.011
H: 0.705 0.082 0.829
H: 0.754 0.712 0.197
H: 0.797 0.667 0.993
O: 0.117 0.628 0.503
O: 0.148 0.269 0.928
O: 0.177 0.889 0.743
O: 0.251 0.028 0.397
O: 0.268 0.859 0.074
O: 0.338 0.364 0.184
O: 0.426 0.293 0.537
O: 0.574 0.707 0.463
O: 0.662 0.636 0.816
O: 0.732 0.141 0.926
O: 0.749 0.972 0.603
O: 0.823 0.111 0.257
O: 0.852 0.731 0.072
O: 0.883 0.372 0.497

Main lines, by angle (15 to 90 degrees two-theta):
17.81°, rel. 57
22.25°, rel. 35
23.88°, rel. 97
27.95°, rel. 67
28.38°, rel. 49
28.72°, rel. 100
30.73°, rel. 71
31.75°, rel. 54

----------

Theoretical powder diffractogram of LiMn2C4O12 for Cu Kα (weighted mean of Kα1 and Kα2), from a DFT-relaxed cell (PBE+U, the Materials Project).

Crystal structure
```
data_LiMn2C4O12
_chemical_formula_sum 'Li1 Mn2 C4 O12'
_cell_length_a 5.214
_cell_length_b 6.691
_cell_length_c 7.584
_cell_angle_alpha 88.27
_cell_angle_beta 89.85
_cell_angle_gamma 67.92
_symmetry_space_group_name_H-M 'P 1'
_symmetry_Int_Tables_number 1
loop_
_symmetry_equiv_pos_as_xyz
'x,y,z'
loop_
_atom_site_label
_atom_site_fract_x
_atom_site_fract_y
_atom_site_fract_z
_atom_site_occupancy
Li1 0.000 0.000 0.000 1
Mn1 0.212 0.172 0.440 1
Mn2 0.711 0.652 0.944 1
C1 0.442 0.813 0.681 1
C2 0.481 0.048 0.179 1
C3 0.968 0.284 0.705 1
C4 0.979 0.537 0.210 1
O1 0.076 0.612 0.077 1
O2 0.124 0.463 0.351 1
O3 0.217 0.071 0.190 1
O4 0.227 0.262 0.681 1
O5 0.312 0.880 0.534 1
O6 0.318 0.791 0.826 1
O7 0.576 0.094 0.324 1
O8 0.624 0.989 0.042 1
O9 0.709 0.752 0.695 1
O10 0.728 0.544 0.191 1
O11 0.852 0.250 0.563 1
O12 0.852 0.323 0.854 1
```

Main lines, low angle first (15 to 90 degrees two-theta):
index	2θ (°)	Rel. int.
0 1 1	18.20	46
1 1 0	18.56	100
0 1 -1	18.78	37
1 0 -1	21.72	27
1 0 1	21.88	39
0 2 1	30.83	21
0 2 -1	31.53	18
1 3 0	40.50	17
+++

Done =
Ni3P2: computed X-ray diffraction stick pattern (Cu Kα (λ = 1.5418 Å)), based on a PBE-relaxed structure.
Lines closer than 0.1° are merged.

Crystal structure
abc: 5.9147 5.9147 12.2553
angles: 90.00 90.00 120.00
Space group R-3c (No. 167, hexagonal axes)
Asymmetric unit:
Ni: 0.0000 0.2569 0.2500 (multiplicity 18)
P: 0.0000 0.0000 0.1095 (multiplicity 12)

Top 10 peaks for 2θ = 10–90°, sorted by position:
- 2θ = 22.63°, d = 3.930 Å, I = 23, (0 1 2)
- 2θ = 37.55°, d = 2.396 Å, I = 100, (1 1 3)
- 2θ = 38.08°, d = 2.363 Å, I = 15, (2 0 2)
- 2θ = 44.35°, d = 2.043 Å, I = 29, (0 0 6)
- 2θ = 46.20°, d = 1.965 Å, I = 21, (0 2 4)
- 2θ = 47.55°, d = 1.912 Å, I = 41, (2 1 1)
- 2θ = 49.37°, d = 1.846 Å, I = 12, (1 2 2)
- 2θ = 53.68°, d = 1.707 Å, I = 18, (3 0 0)
- 2θ = 56.20°, d = 1.637 Å, I = 21, (2 1 4)
- 2θ = 60.99°, d = 1.519 Å, I = 18, (1 2 5)

----------

Diffraction record for MgV4H8O14. The XRD peak list is computed, not measured: it uses a GGA+U-relaxed structure and Cu Kα (weighted mean of Kα1 and Kα2).
Neutral-atom scattering factors, no anomalous dispersion.

Structural model:
Cell lengths 6.416, 6.636, 8.062 Å; angles 87.41, 67.63, 78.62 degrees
Positions (direct):
Mg: 0.000 0.000 0.000
V: 0.223 0.332 0.402
V: 0.280 0.816 0.528
V: 0.720 0.184 0.472
V: 0.777 0.668 0.598
H: 0.203 0.333 0.007
H: 0.246 0.288 0.803
H: 0.295 0.918 0.171
H: 0.412 0.778 0.989
H: 0.588 0.222 0.011
H: 0.705 0.082 0.829
H: 0.754 0.712 0.197
H: 0.797 0.667 0.993
O: 0.117 0.628 0.503
O: 0.148 0.269 0.928
O: 0.177 0.889 0.743
O: 0.251 0.028 0.397
O: 0.268 0.859 0.074
O: 0.338 0.364 0.184
O: 0.426 0.293 0.537
O: 0.574 0.707 0.463
O: 0.662 0.636 0.816
O: 0.732 0.141 0.926
O: 0.749 0.972 0.603
O: 0.823 0.111 0.257
O: 0.852 0.731 0.072
O: 0.883 0.372 0.497

Main lines, by angle (15 to 90 degrees two-theta):
17.81°, rel. 57
22.25°, rel. 35
23.88°, rel. 97
27.95°, rel. 67
28.38°, rel. 49
28.72°, rel. 100
30.73°, rel. 71
31.75°, rel. 54

----------

Theoretical powder diffractogram of LiMn2C4O12 for Cu Kα (weighted mean of Kα1 and Kα2), from a DFT-relaxed cell (PBE+U, the Materials Project).

Crystal structure
```
data_LiMn2C4O12
_chemical_formula_sum 'Li1 Mn2 C4 O12'
_cell_length_a 5.214
_cell_length_b 6.691
_cell_length_c 7.584
_cell_angle_alpha 88.27
_cell_angle_beta 89.85
_cell_angle_gamma 67.92
_symmetry_space_group_name_H-M 'P 1'
_symmetry_Int_Tables_number 1
loop_
_symmetry_equiv_pos_as_xyz
'x,y,z'
loop_
_atom_site_label
_atom_site_fract_x
_atom_site_fract_y
_atom_site_fract_z
_atom_site_occupancy
Li1 0.000 0.000 0.000 1
Mn1 0.212 0.172 0.440 1
Mn2 0.711 0.652 0.944 1
C1 0.442 0.813 0.681 1
C2 0.481 0.048 0.179 1
C3 0.968 0.284 0.705 1
C4 0.979 0.537 0.210 1
O1 0.076 0.612 0.077 1
O2 0.124 0.463 0.351 1
O3 0.217 0.071 0.190 1
O4 0.227 0.262 0.681 1
O5 0.312 0.880 0.534 1
O6 0.318 0.791 0.826 1
O7 0.576 0.094 0.324 1
O8 0.624 0.989 0.042 1
O9 0.709 0.752 0.695 1
O10 0.728 0.544 0.191 1
O11 0.852 0.250 0.563 1
O12 0.852 0.323 0.854 1
```

Main lines, low angle first (15 to 90 degrees two-theta):
index	2θ (°)	Rel. int.
0 1 1	18.20	46
1 1 0	18.56	100
0 1 -1	18.78	37
1 0 -1	21.72	27
1 0 1	21.88	39
0 2 1	30.83	21
0 2 -1	31.53	18
1 3 0	40.50	17